Category 168
Discussion List
How can I add validation to restrict duplicate conditions being added in a discount ruleHow can I add validation to restrict duplicate conditions being added in a discount rule ?
How to apply attribute based discount using item EFFI want to apply discount based on the item EFF. Below is the setup done. Can you please suggest if I have missed any setups?
Discount is not getting applied when sales Order has sales agreementSummary: Want to apply Custom discount on sales Order on top of the pricing details which are applied on sales order when sales agreement is referred on SO Content (plea…
Clarification on Functionality of "Manage Return Price List" in Oracle SCMHi, Issue: In the Oracle documentation, specifically: FA: SCM: Pricing: How Does The "Manage Return Price List" Work? (Doc ID 2624015.1) How To: Apply Restocking Fees on…
Need Sample Payload for Creating Price Charge with Matrix Header using REST APISummary: Need API URL and Sample payload to create New Price Charge with Matrix header for one Price Charge. Content (please ensure you mask any confidential information…
Price list chosen from customer ship to DFF conditionally based on FOBSummary: Requirement is to quote and price differently when customer requests pick up versus shipment. Content (please ensure you mask any confidential information): Pri…
Unable to apply discounts on coverage item and do manual adjustments tooSummary: Unable to apply discounts on coverage item. Added coverage item in manage price list and defined prices under associated items triangle button. Added coverage i…
how to price engineer to order itemsSummary: Business Requirement: 80% of the items are ETOs. Each ETO (ship) is built in multiple phases and each ship is unique. No specific BOM. Once the work starts on o…
How do we create a price adjustment matrix through the Price Lists Import Batch FBDI?Summary: We are trying to find information detailing how to create a price adjustment matrix through the price list FBDI. We currently have thousands of individual items…
Default the Manual Adjustment Flag to YESSummary: Using Page customization to default the check box for 'Manual Adjustment Flag' under create charge of Price List using the Sandbox is not working( confirmed by …
24B feature Adjust Price According to the Item's Category functionality is not working as expectedHi All, While testing the 24B feature Adjust Price According to the Item's Category, at sales order creation we are getting error as Pricing : The attribute-based adjust…
While creating Sales order, Currency and price details are not getting populated for selected itemSummary: I am trying to create SO, but currency is not coming and price strategy is not determined. not even calculating the on hand stock It was working flow. Item pric…
Derive Pricing Segment based on Customer and Customer ship toSummary: Derive Pricing Segment based on Customer and Customer ship to Content (please ensure you mask any confidential information): Our customer has different price fo…
Create pretransformation rule to default Pricing StrategySummary: Why not be able to create a pretransformation rule to default Pricing Strategy? That would be a go around Pricing error: The pricing strategy was not determined…
Derive pricing strategy based on BUSummary: hi Gurus, we have a requirement to derive strategy price list based on Business unit, if user has access to multiple BU how to set precedence for the below matr…
How to apply multiple discounts on items and customer combination in sales ordersSummary: We are trying to set-up two different discounts for one customer. The discount should be for all the ship to locations that are under Customer. When we entered …
Please confirm if we can use pricing algorithm to map value from customer into pricing profileSummary: Please confirm if we can use pricing algorithm to map value from additional customer attribute at the Customer Account Level into customer pricing profile - cus…
The Pricing Strategy was not determined for the current transaction - Steps to solutionI had to deal with this error and opened an SR without success. Here are the steps I followed based on pure logic. Reset Start Date at the same date and time (ie. 04:00)…
How to update multiple pricelist in single stepSummary: Update by Adding newly introduced item in all the pricelist using single file load except FBDI Content (please ensure you mask any confidential information): We…
No matching pricing segment was found for the customer.Summary: No matching pricing segment was found for the customer. Content (required): we have configured a new business unit and we are trying to test all cycles and tran…
Can we use the FBDI template for loading Sales Order with Cost plus integration?Can we use the FBDI template for loading Sales Order with Cost plus integration? When we are trying to create Sales order with cost plus integration, its failing. howeve…
price list based on the formulasSummary: hi In Oracle fusion pricing i am looking for a Price based on the formula Price per variable A = X* 100 ( X is a Variable) Price per variable A + (Price per var…
List Price is coming from different fields of the same table QP_MATRIX_RULESSummary: We need a report displaying Price lists, Base Price, List Price & Customer details. We have observed that List Price is coming from different fields of the same…
How to define price adjustment matrix for coverage itemSummary: We have a requirement where we want to define Price adjustment matrix for the Coverage item like software maintenance.Here Item sales product type in the Produc…
How to define the tiers for coverage item like Software maintenance or Extended WarrantySummary: We have a requirement where we want to define the Tiers for the Item for which sales product type is either Extended warranty or software maintenance Content (p…
Next to the article, the page also holds crystal structures =
┌──
<one>
Compound: Li2TiCuO4
Source: Alexandria
Functional: SCAN
Structure: single point on PBEsol structure

Results
**Spin magnetization**: 0.80 μB/f.u.

Geometry as CIF:
```
data_Li2TiCuO4
_chemical_formula_sum 'Li4 Ti2 Cu2 O8'
_cell_length_a 3.962
_cell_length_b 3.962
_cell_length_c 8.879
_cell_angle_alpha 90.00
_cell_angle_beta 90.00
_cell_angle_gamma 90.00
_space_group_name_H-M_alt 'I -4 m 2'
_space_group_IT_number 119
_space_group_name_Hall 'I -4 -2'
loop_
_atom_site_label
_atom_site_type_symbol
_atom_site_fract_x
_atom_site_fract_y
_atom_site_fract_z
_atom_site_occupancy
Li1 Li 0.000 0.000 0.000 1
Li2 Li 0.000 0.500 0.250 1
Ti1 Ti 0.000 0.000 0.500 1
Cu1 Cu 0.000 0.500 0.750 1
O1 O 0.000 0.000 0.277 1
O2 O 0.000 0.500 0.005 1
```



<two>
Compound: Li2TiCuO4
Source: Alexandria
Functional: SCAN
Structure: single point on PBEsol structure

Results
**Spin magnetization**: 0.99 μB/f.u.

Geometry as CIF:
```
data_Li2TiCuO4
_chemical_formula_sum 'Li8 Ti4 Cu4 O16'
_cell_length_a 5.648
_cell_length_b 5.723
_cell_length_c 9.079
_cell_angle_alpha 90.00
_cell_angle_beta 90.00
_cell_angle_gamma 90.00
_space_group_name_H-M_alt 'I m m a'
_space_group_IT_number 74
_space_group_name_Hall '-I 2b 2'
loop_
_atom_site_label
_atom_site_type_symbol
_atom_site_fract_x
_atom_site_fract_y
_atom_site_fract_z
_atom_site_occupancy
Li1 Li 0.000 0.000 0.000 1
Li2 Li 0.250 0.250 0.250 1
Ti1 Ti 0.000 0.000 0.500 1
Cu1 Cu 0.250 0.250 0.750 1
O1 O 0.000 0.017 0.720 1
O2 O 0.236 0.250 0.483 1
```



Result of the stability comparison: <two> is the most stable of them.



<one>
Compound: LiV4CuO12
Source: Alexandria
Functional: SCAN
Structure: single point on PBEsol structure

Results
**Spin magnetization**: 1.93 μB/f.u.

Geometry as CIF:
```
data_LiV4CuO12
_chemical_formula_sum 'Li1 V4 Cu1 O12'
_cell_length_a 4.920
_cell_length_b 5.282
_cell_length_c 7.213
_cell_angle_alpha 84.83
_cell_angle_beta 89.71
_cell_angle_gamma 89.53
_space_group_name_H-M_alt 'P 1'
_space_group_IT_number 1
loop_
_space_group_symop_operation_xyz
'x,y,z'
loop_
_atom_site_label
_atom_site_type_symbol
_atom_site_fract_x
_atom_site_fract_y
_atom_site_fract_z
_atom_site_occupancy
Li1 Li 0.000 0.000 0.000 1
V1 V 0.007 0.568 0.278 1
V2 V 0.492 0.048 0.796 1
V3 V 0.509 0.046 0.283 1
V4 V 0.992 0.551 0.781 1
Cu1 Cu 0.503 0.468 0.496 1
O1 O 0.100 0.596 0.056 1
O2 O 0.200 0.900 0.763 1
O3 O 0.211 0.308 0.366 1
O4 O 0.311 0.417 0.734 1
O5 O 0.325 0.780 0.373 1
O6 O 0.386 0.097 0.061 1
O7 O 0.605 0.116 0.557 1
O8 O 0.699 0.407 0.264 1
O9 O 0.707 0.807 0.856 1
O10 O 0.817 0.909 0.247 1
O11 O 0.818 0.297 0.867 1
O12 O 0.858 0.600 0.559 1
```



<two>
Compound: LiV4CuO12
Source: Alexandria
Functional: SCAN
Structure: single point on PBEsol structure

Results
**Spin magnetization**: 2.14 μB/f.u.

Geometry as CIF:
```
data_LiV4CuO12
_chemical_formula_sum 'Li2 V8 Cu2 O24'
_cell_length_a 9.833
_cell_length_b 8.695
_cell_length_c 5.804
_cell_angle_alpha 90.00
_cell_angle_beta 110.34
_cell_angle_gamma 90.00
└──
Facing Error While Overriding Price ListSummary: Hi We have a requirement where We have Pricelist defined on Customer Ship to Site. Which we are fetching from Customer Ship to Site and Overriding that Pricelis…
How to control Pricing UOM while creating Discount ListSummary: Hi Team, How can we control Pricing UOM field while creating Discount List. Currently it shows all the UOM present in the system. User requirement is that only …
_Misplaced data records_
~~~
Entry 1:
Compound: Cd2TePOs
Source: the Alexandria database
Functional: PBE-GGA
Structure: relaxed

a b c (Å): 5.4564 5.4564 4.8693
angles (deg): 90.00 90.00 90.00
Closest atoms and distances in Å follow each position.
Space group P4/mmm (No. 123)
Asymmetric unit:
Cd (0.0000, 0.5000, 0.0000) (multiplicity 2)  2 Te 2.73
Te (0.0000, 0.0000, 0.0000) (multiplicity 1)  2 Os 2.43
P (0.5000, 0.5000, 0.5000) (multiplicity 1)  8 Cd 3.66, 4 Os 3.86
Os (0.0000, 0.0000, 0.5000) (multiplicity 1)  2 Te 2.43

* energy relative to the elements, uncorrected: 7.9 eV per formula unit

Entry 2:
Compound: Zn2CdPOs
Source: the Alexandria database
Functional: PBE-GGA
Structure: relaxed

a b c (Å): 4.7307 4.7307 5.1184
angles (deg): 90.00 90.00 90.00
Closest atoms and distances in Å follow each position.
Space group P4/mmm (No. 123)
Asymmetric unit:
Zn (0.0000, 0.5000, 0.0000) (multiplicity 2)  2 Cd 2.37
Cd (0.0000, 0.0000, 0.0000) (multiplicity 1)  4 Zn 2.37, 2 Os 2.56
P (0.5000, 0.5000, 0.5000) (multiplicity 1)  4 Os 3.35, 8 Zn 3.48
Os (0.0000, 0.0000, 0.5000) (multiplicity 1)  2 Cd 2.56

* formation energy from the elements: 1704.0 meV per atom
~~~
how to assign bulk items to existing pricelistis there a way to bulk assignment of items to the pricelist. Note: items and pricelist both are created in the system but we want to assign the items to pricelist. if it…
add months to date in groovySummary: How to add months to current date in OM-OSMC algorithm groovy script Content (please ensure you mask any confidential information): Hi Experts, I have a require…Paresh Mundra 11 views 1 comment 0 points Most recent by Anuradha - User352 -Oracle Order Management